Policing 2020: Local news reporting during a year of racial justice protests
In 2020, racial justice took center stage in U.S. public discourse as massive numbers of people took to the streets to protest police brutality and systemic racism in policing and in American society more broadly.
Triggered by the killing of George Floyd in May 2020, the protests demanded accountability for Floyd’s death and for the many other Black people killed by police. In this context, many news organizations were confronted with their own history of institutionalized racism, including scrutiny around how newsrooms cover policing, race, and communities of color.
This study explores whether and how the heightened public discourse on racial justice potentially influenced reporting on policing in 2020. Based on a content analysis of a full year’s coverage of policing by the Minneapolis Star-Tribune, the Louisville Courier-Journal, and the Philadelphia Inquirer – each of which witnessed a local high-profile case of police killing a Black person in 2020 – we assess how sourcing practices, portrayals of the police and civilians, and the presence of contextual information help shape readers’ understanding of policing.
Key Findings and Implications
(Between two parts of the text: calculated crystals)
/*
Computed X-ray diffraction stick pattern
Compound: TbTcClO4
Radiation: Cu Kα
Structure: a GGA-PBE-relaxed structure
Lines closer than 0.1° are merged.

The 12 most intense peaks (10 to 90 degrees two-theta), sorted by position:
two_theta	I (rel.)
13.29	38.6
17.69	31.5
24.80	100.0
28.80	37.0
29.38	39.9
35.06	21.9
35.37	19.5
45.52	15.4
45.86	15.9
46.20	14.2
46.59	15.2
49.05	12.4

Structure:
```
data_TbTcClO4
_chemical_formula_sum 'Tb4 Tc4 Cl4 O16'
_symmetry_space_group_name_H-M 'C 1 2/m 1'
_symmetry_Int_Tables_number 12
_symmetry_space_group_name_Hall '-C 2y'
_cell_length_a 10.3802
_cell_length_b 7.1856
_cell_length_c 6.8936
_cell_angle_alpha 90.00
_cell_angle_beta 104.96
_cell_angle_gamma 90.00
loop_
*/
(The calculated crystals stop here)
- Sourcing practices that privilege police sources: Contrary to concerns that newsrooms frequently privilege police sources, we found a relatively small proportion of stories about policing in the three newspapers we studied used single-source reporting that relied exclusively on police sources.
- Relative presence of police sources compared to other sources: Even if it was relatively uncommon for the newspapers to rely exclusively on the police as a source or to cite them in the headline, the police still appeared in far more stories than community-based voices such as victims of local crime, civilians harmed by police, and community-focused organizations. This disproportionate use of police sources relative to other sources was particularly evident in local crime stories.
Portrayals of Civilians
- Dehumanizing language: Dehumanizing language used to describe civilians targeted by the police – such as suspect, juvenile, and offender – appeared in a relatively small proportion of stories in the three newspapers (19-26%).
- Criminalizing information: Portrayals of civilians who were seriously injured or harmed by police were more likely to include “criminalizing” information (for example, by mentioning a prior arrest record or describing the person’s threatening behavior) as opposed to “humanizing” information (for example, by describing the person’s relationships with loved ones and details about their life).
- Delegitimizing frames to portray protesters: Across the three newspapers, a substantial majority (66-82%) of stories about the protests portrayed protesters as posing a threat to property, to police officers, and to other civilians – far exceeding the proportion of stories that mentioned protesters harmed by police use of tear gas, rubber bullets, and other forms of force (24-36%).
Portrayals of Police
- Distancing language: Using “distancing” language to euphemistically describe police use of force, such as “officer-involved shooting” or “discharged weapon” was rare in these three newspapers’ stories about policing (less than 10%), both before and after Floyd’s death.
- Information challenging the police: Coverage of policing frequently included sources or information that questioned or criticized police practices or police conduct, suggesting that portrayals of the police often incorporated a challenge to the police narrative. The clear exception to this pattern was in the subset of stories on local crime, which more rarely included such information. All three newspapers became more likely to include information challenging the police during the period following Floyd’s death.
- Information about police accountability: Coverage of policing became somewhat more likely to mention information about police accountability for their conduct over the course of 2020, reflecting the heightened public attention to police accountability for harming civilians prompted by the viral video of Floyd’s death and the ensuing protests. However, when we examined stories that specifically mentioned a civilian seriously injured or harmed by the police, we found that only about half these stories in the Minneapolis Star-Tribune and the Philadelphia Inquirer included any information about police accountability (compared to 80% in the Louisville Courier-Journal), suggesting that this connection between police violence and police accountability was often missing in these two newspapers.
[Between two parts of the entry: crystal structures]
-- begin --
No. 1
# SnAu3
Computed powder diffractogram, Cu Kα X-rays. Input: a PBE-relaxed structure.

Atomic structure:
a = 6.0384 Å, b = 6.0384 Å, c = 4.9993 Å
α = 90.00°, β = 90.00°, γ = 120.00°
Space group P6_3/mmc (No. 194)
Unique sites:
Sn  0.3333  0.6667  0.2500
Au  0.1641  0.3282  0.7500

Peak list (6 most intense, 5° ≤ 2θ ≤ 70°, in order of rising 2θ)
d = 2.615 Å, 34.3 deg, I = 23, hkl 2 0 0; d = 2.500 Å, 35.9 deg, I = 28, hkl 0 0 2; d = 2.317 Å, 38.9 deg, I = 100, hkl 2 0 1; d = 1.807 Å, 50.5 deg, I = 16, hkl 2 0 2; d = 1.510 Å, 61.4 deg, I = 18, hkl 2 2 0; d = 1.405 Å, 66.5 deg, I = 21, hkl 2 0 3

No. 2
# Sn9Au4
Computed powder diffractogram, Cu Kα X-rays. Input: a PBE-relaxed structure.

Atomic structure:
a = 11.0038 Å, b = 15.3264 Å, c = 9.3414 Å
α = 90.00°, β = 125.25°, γ = 90.00°
Space group Cm (No. 8)
Unique sites:
Sn  0.0000  0.0000  0.0000
Sn  0.0100  0.5000  0.8784
Sn  0.0851  0.1382  0.5971
Sn  0.1605  0.3306  0.4988
Sn  0.1986  0.0000  0.4181
Sn  0.2458  0.3649  0.8911
Sn  0.2598  0.3267  0.2344
Sn  0.3221  0.1049  0.2109
Sn  0.3606  0.5000  0.5760
Sn  0.4043  0.1828  0.5961
Sn  0.4077  0.1812  0.9555
Au  0.0460  0.1775  0.8791
Au  0.0487  0.1743  0.2302
Au  0.0692  0.5000  0.5778
Au  0.0772  0.5000  0.2299
Au  0.2218  0.0000  0.8775
Au  0.3639  0.5000  0.2290

Peak list (6 most intense, 5° ≤ 2θ ≤ 70°, in order of rising 2θ)
d = 2.585 Å, 34.7 deg, I = 60, hkl 3 3 0; d = 2.557 Å, 35.1 deg, I = 100, hkl 3 3 -3; d = 2.545 Å, 35.3 deg, I = 37, hkl 0 0 3; d = 2.541 Å, 35.3 deg, I = 13, hkl 1 3 -3; d = 1.802 Å, 50.7 deg, I = 12, hkl 0 6 3; d = 1.476 Å, 63.0 deg, I = 12, hkl 6 0 -6

=====

Nb9Fe3Ge2: theoretical powder diffractogram (copper Kα), based on the PBE geometry in the Materials Project.
Kinematic intensities with the Lorentz-polarization factor, no thermal factor.

Structural model:
```
Nb9Fe3Ge2
1.0
0.0000 9.5225 9.5726
2.5216 0.0000 9.5726
2.5216 9.5225 0.0000
Nb Fe Ge
18 6 4
Direct
0.0671 0.2070 0.7930 Nb
0.0911 0.6692 0.3308 Nb
0.1677 0.4102 0.5898 Nb
0.2070 0.0671 0.9329 Nb
0.2440 0.7560 0.7560 Nb
0.2956 0.5686 0.4314 Nb
0.3308 0.9089 0.0911 Nb
0.4102 0.1677 0.8323 Nb
0.4314 0.7044 0.2956 Nb
0.5686 0.2956 0.7044 Nb
0.5898 0.8323 0.1677 Nb
0.6692 0.0911 0.9089 Nb
0.7044 0.4314 0.5686 Nb
0.7560 0.2440 0.2440 Nb
0.7930 0.9329 0.0671 Nb
0.8323 0.5898 0.4102 Nb
0.9089 0.3308 0.6692 Nb
0.9329 0.7930 0.2070 Nb
0.0000 0.0000 0.5000 Fe
0.0000 0.5000 0.0000 Fe
0.1341 0.8659 0.1341 Fe
0.5000 0.0000 0.5000 Fe
0.5000 0.5000 0.0000 Fe
0.8659 0.1341 0.8659 Fe
0.0000 0.5000 0.5000 Ge
0.3696 0.3696 0.6304 Ge
0.5000 0.0000 0.0000 Ge
0.6304 0.6304 0.3696 Ge
```

Top 10 peaks for 2θ from 10° to 90°, sorted by position:
2θ (°)  I_rel
35.60  677
37.73  1000
37.87  794
40.10  575
40.23  584
40.45  611
42.27  562
42.41  496
44.60  521
44.87  426

NbFe6Ge6: theoretical powder diffractogram (copper Kα), based on the PBE geometry in the Materials Project.
Kinematic intensities with the Lorentz-polarization factor, no thermal factor.

Structural model:
-- stop --
- References to issues of racial justice or injustice: Looking across the full year of coverage of policing, references to racial justice increased in all three newspapers during the period following Floyd’s death – both reflecting and contributing to heightened public attention to racism in policing and in society more broadly. In covering the protests specifically, the Louisville Courier-Journal and Philadelphia Inquirer usually included at least brief references to racial justice or injustice, helping to provide this context. This was less common in the Minneapolis Star-Tribune’s protest stories, which frequently omitted any reference to racial justice as context for protesters’ demands.
- Explanation of the policy implications of “defund the police”: In all three newspapers, there was relatively little substantive information about the policy implications of “defund the police” – one of the most salient rallying cries of the protests. Only a small minority of stories that mentioned reform explained what “defunding the police” could look like in policy or budgetary terms, suggesting that readers often lacked contextual details about what calls to “defund the police” might mean.
- Source diversity: Newsrooms have an opportunity to build on the more inclusive sourcing practices used in their coverage of police conduct, accountability, reforms, and protests, bringing this wider set of perspectives to their local crime reporting. Reporters need to be given space to prioritize diverse sourcing practices that construct a more complete narrative. This includes making community-based voices more of a norm rather than an exception in local crime reporting.
- Attributions of responsibility: Stories that involve police use of force convey a narrative about who is responsible for triggering that use of force and for any harm that occurs as a result. For example, information that portrays civilians as threatening helps shift responsibility away from the police, whereas information that questions police conduct helps shift responsibility towards the police. Contextual information can further deepen readers’ understanding of attributions of responsibility – for example by pointing to systemic factors like racism that may inform interactions between the police and civilians. Attributions of responsibility can be usefully nuanced by considering the balance of information that shifts responsibility towards the police vs. towards civilians.
- Legitimacy of the status quo versus demands for change: News coverage can serve to legitimize the status quo or legitimize demands for the status quo to change, depending on which sources and which pieces of information or context are included (or omitted) in a given story. For example, while long-established traditions in protest coverage may pressure news organizations to focus on property damage, this can help delegitimize protesters’ calls for police reforms. The status quo can also be upheld through omission of information about police accountability for killing or injuring civilians (including harming protesters), helping to legitimize current police practices. Conversely, calls for change can be legitimized through sources who explain the racial justice context for why police reforms are needed. This kind of contextual reference point also shifts the focus from the actions of a few individual police officers, orienting attention to institutional and cultural problems that require large-scale solutions.
- Protests as a causal mechanism for change: Information about the impact of protests emerged as a recurring theme in coverage of policing. We encourage further exploration of whether and how reporting contributes to a deeper understanding and amplification of the value and impact of public protests as a mechanism for social, political, and policy change.
This project was made possible by a grant from the Independence Public Media Foundation.